Contents:
/*
<A>
C4H8O3 | ωB97M-V/def2-TZVPD

```
! wB97M-V def2-TZVPD RIJCOSX def2/J DEFGRID3
* xyz 0 1
H 2.885 0.924 -1.445
H -3.289 0.791 -0.595
O 1.073 -0.811 -2.185
H 2.795 -0.402 -0.264
C -2.357 0.549 -0.129
H -0.444 -0.656 1.207
C 0.476 -0.099 -1.421
O -2.182 -0.711 0.136
H -1.215 -2.322 0.801
C -1.162 -1.260 0.704
O 1.055 0.690 -0.510
H 2.786 1.299 0.294
H -0.608 0.109 -1.449
C 2.472 0.616 -0.486
H -1.721 1.268 0.337
*
```

As for the HOMO energy (spin up / spin down): -7.767 / -7.804 eV. The value obtained for the HOMO-LUMO gap (spin up / spin down) is 8.32 / 8.37 eV.

<B>
C4H8O3 | ωB97M-V/def2-TZVPD

```
! wB97M-V def2-TZVPD RIJCOSX def2/J DEFGRID3
* xyz 0 1
H 2.122 -0.099 -0.646
O 0.498 0.757 0.339
O -2.514 -1.915 1.014
C 1.880 0.483 0.255
H -2.869 -2.141 0.147
H -1.113 1.488 -0.633
H 2.137 -0.116 1.133
H 0.412 2.354 -0.989
O 0.341 -1.864 -0.648
C -1.479 -1.008 0.821
C -0.437 -1.385 0.095
H -1.499 -0.073 1.364
C -0.041 1.370 -0.813
H 0.098 0.736 -1.702
H 2.465 1.412 0.262
*
```

As for the HOMO energy: -8.377 eV. The value obtained for the HOMO-LUMO gap is 9.06 eV. As for the SMILES: O=C=CO.COC.

<C>
C4H8O3 | ωB97M-V/def2-TZVPD

```
! wB97M-V def2-TZVPD RIJCOSX def2/J DEFGRID3
* xyz 0 1
H -0.792 -1.491 0.813
H 0.599 1.672 -0.404
H 0.329 -1.407 -2.393
C -0.111 -0.361 -0.568
C -1.073 0.724 2.101
H 0.754 0.321 -2.459
C 0.535 0.778 0.222
H 1.765 -0.824 -1.541
O -1.745 -0.236 1.805
C 0.736 -0.569 -1.821
O -0.060 1.262 1.450
H -1.138 -0.080 -0.855
O -0.100 -1.576 0.137
H -1.250 1.306 3.014
H 1.550 0.479 0.498
*
```

As for the HOMO energy: -10.223 eV. The value obtained for the HOMO-LUMO gap is 11.06 eV. As for the SMILES: C[C@@H](O)COC=O.

<D>
C4H8O3 | ωB97M-V/def2-TZVPD

```
! wB97M-V def2-TZVPD RIJCOSX def2/J DEFGRID3
* xyz 0 1
C 2.138 -0.942 0.620
H -1.859 2.046 -0.382
O 1.396 -1.150 -0.456
H -0.366 -1.116 -1.422
H 0.225 0.355 1.788
O -0.544 0.752 1.341
C -0.347 0.570 -0.037
C -1.611 1.041 -0.730
H 3.203 -1.076 0.383
H -0.523 -1.574 0.296
H -1.473 1.064 -1.815
O 1.756 -0.620 1.722
H 0.509 1.167 -0.406
C -0.032 -0.887 -0.404
H -2.444 0.374 -0.485
*
```

As for the HOMO energy: -10.204 eV. The value obtained for the HOMO-LUMO gap is 11.06 eV. As for the SMILES: C[C@@H](O)COC=O.

Relative to the most stable one, in hartree, the structures come out at <A> 0.1442; <B> 0.0930; <C> 0.0046; <D> 0.0000.

<A>
C4H8O3 | ωB97M-V/def2-TZVPD

```
! wB97M-V def2-TZVPD RIJCOSX def2/J DEFGRID3
* xyz 0 1
O -2.606 -1.190 -0.104
C -1.211 -1.300 -0.058
O 0.963 0.328 -1.450
H 1.047 0.757 1.786
C 1.418 1.061 -0.326
H -0.929 -2.183 0.539
H 1.071 0.788 -2.285
O -1.394 0.828 0.952
C -0.605 -0.028 0.601
H 2.517 1.143 -0.287
H -2.809 -0.317 0.271
C 0.894 0.222 0.839
H -0.839 -1.485 -1.077
H 1.017 2.087 -0.278
H 1.465 -0.711 0.876
*
```

As for the HOMO energy: -10.100 eV. The value obtained for the HOMO-LUMO gap is 10.75 eV. As for the SMILES: O=C(CO)CCO.

<B>
C4H8O3 | ωB97M-V/def2-TZVPD

```
! wB97M-V def2-TZVPD RIJCOSX def2/J DEFGRID3
* xyz 0 1
O 1.405 0.413 0.173
O 0.710 -0.921 -1.518
H -3.429 0.311 -1.059
H -0.399 -1.845 0.324
H 2.588 1.062 -1.420
C 0.507 -0.363 -0.467
H -0.792 -0.353 1.356
H -1.831 1.089 -1.190
C 2.666 0.440 -0.525
O -1.924 -0.795 -0.325
C -2.477 0.476 -0.548
H 2.959 -0.570 -0.831
C -0.703 -0.804 0.347
H 3.382 0.858 0.179
H -2.667 1.016 0.393
*
```

As for the HOMO energy: -10.055 eV. The value obtained for the HOMO-LUMO gap is 10.90 eV. As for the SMILES: COCC(=O)OC.

Relative to the most stable one, in hartree, the structures come out at <A> 0.0000; <B> 0.0118.

<A>
C7H7F2N | ωB97M-V/def2-TZVPD

```
! wB97M-V def2-TZVPD RIJCOSX def2/J DEFGRID3
* xyz 0 1
H -0.483 -2.359 -0.046
C -0.951 -0.214 -0.046
F -3.115 -1.263 0.076
F -2.983 1.042 -0.158
C -2.269 -0.127 0.156
C -0.366 2.272 -0.043
H 1.613 -3.011 -0.016
N -0.172 -1.405 -0.227
C 1.287 0.384 0.100
C 1.196 -1.093 -0.026
H -0.664 2.617 0.938
C 2.116 -2.051 0.016
H 0.531 2.973 -0.135
H 3.121 -1.920 0.339
C 0.006 0.855 -0.002
H 2.169 0.953 -0.015
H -1.037 2.348 -0.911
*
```
*/
Assignment:
Quote the lines above up to the one that holds "-1.394 0.828", that line included.
Result:
<A>
C4H8O3 | ωB97M-V/def2-TZVPD

```
! wB97M-V def2-TZVPD RIJCOSX def2/J DEFGRID3
* xyz 0 1
H 2.885 0.924 -1.445
H -3.289 0.791 -0.595
O 1.073 -0.811 -2.185
H 2.795 -0.402 -0.264
C -2.357 0.549 -0.129
H -0.444 -0.656 1.207
C 0.476 -0.099 -1.421
O -2.182 -0.711 0.136
H -1.215 -2.322 0.801
C -1.162 -1.260 0.704
O 1.055 0.690 -0.510
H 2.786 1.299 0.294
H -0.608 0.109 -1.449
C 2.472 0.616 -0.486
H -1.721 1.268 0.337
*
```

As for the HOMO energy (spin up / spin down): -7.767 / -7.804 eV. The value obtained for the HOMO-LUMO gap (spin up / spin down) is 8.32 / 8.37 eV.

<B>
C4H8O3 | ωB97M-V/def2-TZVPD

```
! wB97M-V def2-TZVPD RIJCOSX def2/J DEFGRID3
* xyz 0 1
H 2.122 -0.099 -0.646
O 0.498 0.757 0.339
O -2.514 -1.915 1.014
C 1.880 0.483 0.255
H -2.869 -2.141 0.147
H -1.113 1.488 -0.633
H 2.137 -0.116 1.133
H 0.412 2.354 -0.989
O 0.341 -1.864 -0.648
C -1.479 -1.008 0.821
C -0.437 -1.385 0.095
H -1.499 -0.073 1.364
C -0.041 1.370 -0.813
H 0.098 0.736 -1.702
H 2.465 1.412 0.262
*
```

As for the HOMO energy: -8.377 eV. The value obtained for the HOMO-LUMO gap is 9.06 eV. As for the SMILES: O=C=CO.COC.

<C>
C4H8O3 | ωB97M-V/def2-TZVPD

```
! wB97M-V def2-TZVPD RIJCOSX def2/J DEFGRID3
* xyz 0 1
H -0.792 -1.491 0.813
H 0.599 1.672 -0.404
H 0.329 -1.407 -2.393
C -0.111 -0.361 -0.568
C -1.073 0.724 2.101
H 0.754 0.321 -2.459
C 0.535 0.778 0.222
H 1.765 -0.824 -1.541
O -1.745 -0.236 1.805
C 0.736 -0.569 -1.821
O -0.060 1.262 1.450
H -1.138 -0.080 -0.855
O -0.100 -1.576 0.137
H -1.250 1.306 3.014
H 1.550 0.479 0.498
*
```

As for the HOMO energy: -10.223 eV. The value obtained for the HOMO-LUMO gap is 11.06 eV. As for the SMILES: C[C@@H](O)COC=O.

<D>
C4H8O3 | ωB97M-V/def2-TZVPD

```
! wB97M-V def2-TZVPD RIJCOSX def2/J DEFGRID3
* xyz 0 1
C 2.138 -0.942 0.620
H -1.859 2.046 -0.382
O 1.396 -1.150 -0.456
H -0.366 -1.116 -1.422
H 0.225 0.355 1.788
O -0.544 0.752 1.341
C -0.347 0.570 -0.037
C -1.611 1.041 -0.730
H 3.203 -1.076 0.383
H -0.523 -1.574 0.296
H -1.473 1.064 -1.815
O 1.756 -0.620 1.722
H 0.509 1.167 -0.406
C -0.032 -0.887 -0.404
H -2.444 0.374 -0.485
*
```

As for the HOMO energy: -10.204 eV. The value obtained for the HOMO-LUMO gap is 11.06 eV. As for the SMILES: C[C@@H](O)COC=O.

Relative to the most stable one, in hartree, the structures come out at <A> 0.1442; <B> 0.0930; <C> 0.0046; <D> 0.0000.

<A>
C4H8O3 | ωB97M-V/def2-TZVPD

```
! wB97M-V def2-TZVPD RIJCOSX def2/J DEFGRID3
* xyz 0 1
O -2.606 -1.190 -0.104
C -1.211 -1.300 -0.058
O 0.963 0.328 -1.450
H 1.047 0.757 1.786
C 1.418 1.061 -0.326
H -0.929 -2.183 0.539
H 1.071 0.788 -2.285
O -1.394 0.828 0.952